Chapter 15: Darwin`s Theory of Evolution

Chapter 15: Darwin’s Theory of Evolution
15.1 The Puzzle of Life’s Diversity
 Evolution – change in a population of organisms over time
 Charles Darwin
 English Scientist
 Considered to be the father of evolutionary theory
 Born Feb 12 1809
 Voyage of the H.M.S. Beagle
 1831 Darwin traveled on the Beagle
 A 5-year expedition to South America and South Pacific for mapping and
collecting specimens.
 His job was to collect, study and store biological specimens
 His observations in the Galapagos Islands were among his most important
 Compared the anatomy of many species of reptiles, insects, birds, plants
 Darwin’s observations
 He noticed organisms were unique yet similar to species seen in other parts of
the world
 Grasslands in some regions were similar to one another but were inhabited by
very different animals.
 The Galapagos Islands were close together but had very different climates.
 The shape of the giant tortoises shell and neck length can identify which island a
tortoise inhabited
 The shape of the finches beak varied from island to island
 By the end of his trip he was convinced that evolution occurs, that species can
and do change
 He knew that many species produce large numbers of offspring and since Earth
was not covered with many species he suspected that there must be a struggle
for existence among individuals
 Only the strongest survive and the weak die
15.2 Ideas that Shaped Darwin’s Thinking
 Hutton
 Earth is shaped by geological forces over long periods of time
 Estimates earth to be millions, not thousands of years old
 Lyell
 Processes occurring now have shaped Earth’s geological features over long
periods of time
 Lamarck
 Inheritance of Acquired Traits
 Also called use and disuse theory
 Selective use or disuse of organs, organisms acquired or lost certain traits
during their lifetime
 Those traits could be passed on to offspring
 Ex. Long necks of giraffes
<<<
i) This record from the Open Molecules 2025 dataset describes C42H34Br4N2O3P2ReS3 as an isolated structure. The level of theory is the ωB97M-V functional and the def2-TZVPD basis.

Properties
M = 1278.72 g/mol
Spin multiplicity = 4
Total charge = 0

```
91
C42H34Br4N2O3P2ReS3 | the Open Molecules 2025 dataset | the ωB97M-V functional and the def2-TZVPD basis
Re -0.1105 1.4649 -1.0030
S 1.3581 -0.0201 -2.1887
P 2.2046 -0.0904 -0.2885
C 1.0031 0.7473 0.5547
P 0.2455 0.0764 1.9849
S -1.0343 -1.3874 1.6644
C 1.6208 -0.4502 3.0647
C 1.7027 -1.7481 3.5514
C 2.7773 -2.1246 4.3516
C 3.7711 -1.2077 4.6645
C 3.6908 0.0957 4.1844
C 2.6172 0.4719 3.3914
C -0.5058 1.4400 2.9144
C -0.1019 2.7587 2.7397
C -0.6981 3.7754 3.4809
C -1.7021 3.4761 4.3882
C -2.1076 2.1572 4.5667
C -1.5126 1.1427 3.8345
C 3.7687 0.8006 -0.4039
C 3.9483 1.9594 0.3403
C 5.1421 2.6669 0.2438
C 6.1473 2.2180 -0.5984
C 5.9666 1.0614 -1.3522
C 4.7804 0.3539 -1.2561
C 2.6421 -1.7673 0.1886
C 1.7287 -2.7916 -0.0630
C 2.0009 -4.0799 0.3701
C 3.1787 -4.3460 1.0579
C 4.0858 -3.3273 1.3174
C 3.8204 -2.0355 0.8853
H 0.9244 -2.4545 3.2872
H 2.8393 -3.1406 4.7258
H 4.6065 -1.5037 5.2893
H 4.4603 0.8178 4.4334
H 2.5478 1.4915 3.0247
H 0.6632 2.9938 2.0088
H -0.3882 4.8036 3.3304
H -2.1786 4.2715 4.9498
H -2.9006 1.9234 5.2686
H -1.8485 0.1176 3.9436
H 3.1404 2.3114 0.9717
H 5.2794 3.5724 0.8219
H 7.0744 2.7725 -0.6770
H 6.7505 0.7172 -2.0161
H 4.6383 -0.5469 -1.8444
H 0.8027 -2.5669 -0.5798
H 1.2910 -4.8752 0.1797
H 3.3884 -5.3536 1.3983
H 4.9966 -3.5353 1.8657
H 4.5212 -1.2382 1.1021
Br -5.2852 4.8568 2.0999
C -3.6554 4.4478 1.2499
C -2.6749 5.4213 1.0721
Br -2.9327 7.1760 1.7082
C -1.4680 5.0920 0.4420
Br -0.0513 6.3069 0.2039
C -1.2527 3.7984 0.0199
O -0.0962 3.3585 -0.5288
C -2.2212 2.8291 0.2126
O -1.8789 1.5852 -0.1962
C -3.4250 3.1404 0.8032
Br -4.6686 1.7406 0.9637
C -1.0139 -3.0921 -4.7204
C -1.8316 -2.1877 -5.6414
C -2.7378 -1.2441 -4.8677
N -1.9071 -0.2394 -4.1802
C -2.2670 0.7683 -3.4113
S -1.1959 2.1187 -3.2203
N -3.4718 0.8222 -2.8153
C -4.4707 -0.1618 -2.5104
O -5.6187 0.1894 -2.5091
C -4.0198 -1.5272 -2.1488
C -2.7851 -1.7563 -1.5564
C -2.4060 -3.0569 -1.2528
C -3.2566 -4.1137 -1.5454
C -4.5051 -3.8773 -2.1173
C -4.8927 -2.5818 -2.4090
H -0.3567 -3.7478 -5.2944
H -1.6730 -3.7169 -4.1108
H -0.3871 -2.5131 -4.0343
H -2.4602 -2.7862 -6.3022
H -1.1714 -1.6040 -6.2933
H -3.3063 -1.8182 -4.1443
H -3.4371 -0.7240 -5.5243
H -0.9619 -0.1408 -4.5174
H -3.7154 1.7359 -2.4603
H -2.1336 -0.9342 -1.2853
H -1.4545 -3.2348 -0.7633
H -2.9553 -5.1275 -1.3093
H -5.1744 -4.7025 -2.3276
H -5.8598 -2.3676 -2.8474
```

Results of the Mulliken charge analysis, in e, for atoms 1 through 6:
1. Re 0.503
2. S -0.669
3. P 1.449
4. C -0.262
5. P 1.757
6. S -0.514

ii) This record from the Open Molecules 2025 dataset describes C42H34Br4N2O3P2ReS3 as an isolated structure. The level of theory is the ωB97M-V functional and the def2-TZVPD basis.

Properties
M = 1278.72 g/mol
Spin multiplicity = 4
Total charge = 0
>>>
Big muscles
 Evaluating Lamarck’s Hypotheses
 Lamarck’s hypotheses of evolution are incorrect in several ways.
 Lamarck did not know how traits are inherited
 However, he paved the way for the work of later biologists.
 Malthus
 If the human population continued to grow unchecked, sooner or later there would
be insufficient living space and food for everyone.
 This information was central to Darwin’s explanations of evolutionary change.
15.3 Darwin Presents his Case
 Publication of Origin of Species
 Darwin wrote all of his ideas down, but did not publish them.
 He struggled with his ideas because they went against scientific thought at the
 Wallace was a naturalist that had the same ideas as Darwin and was going to
publish them.
 This forced Darwin to publish his ideas
 On the Origin of Species publish in 1859
 Inherited Variation and Artificial Selection
 One of Darwin’s most important ideas was that organisms of the same species
vary from one another
 Darwin thought that variation mattered
 Artificial Selection – a breeder selects particular traits. This had been done by
farmers for years
 Darwin wondered if nature selected particular traits
 The struggle for existence
 Individuals with characteristics that are not well suited to their environment
either die or leave few offspring.
 Individuals that are better suited to their environment survive and reproduce
most successfully.
 Natural Selection – organisms with favorable variations survive, reproduce and
pass those variations on to the next generation
 Darwin also called this “Survival of the Fittest”
 Evidence of Evolution
1. Fossil Record
 Darwin say fossils as a record of the history of life on Earth
2. Homologous Body Structures
 Structural features with a common evolutionary origin
 Similar in structure and/or function
 Example: whale forelimb, crocodile forelimb, bird wing, human arm
3. Analogous Structure
# Next to the piece, the page also holds molecular data
DFT (ωB97M-V/def2-TZVPD) results for a single C3H7N3O molecule.

Last column: Löwdin charge in e.
Element x y z (Å)
H1 0.51604 2.35950 3.35526  0.038
N1 0.15210 1.47850 3.00079  0.078
C1 0.15554 1.48705 1.73035  -0.280
N2 -0.32137 0.38907 1.03005  0.088
C2 0.01840 0.17311 -0.30305  -0.553
O1 0.69024 0.95137 -0.95497  0.066
N3 -0.43581 -1.03992 -0.77602  -0.008
C3 0.06106 -1.49131 -2.06454  -0.089
H2 0.50244 2.28601 1.07049  0.128
H3 -0.54863 -0.41606 1.60022  0.142
H4 -1.38283 -1.29835 -0.53274  0.132
H5 1.13347 -1.70835 -1.97417  0.090
H6 -0.08347 -0.74886 -2.86266  0.086
H7 -0.45718 -2.42176 -2.31900  0.083

Properties
* net charge: 0
* Kohn-Sham gap: 10.52 eV
* SMILES: [H]/N=C/NC(=O)NC

=====

DFT (ωB97M-V/def2-TZVPD) results for a single C3H7N3O molecule.

Last column: Löwdin charge in e.
Element x y z (Å)
C1 -2.49957 -0.29232 0.38967  -0.120
N1 -1.15883 -1.08237 0.59112  -0.031
C2 -0.04179 -0.70867 -0.27812  -0.497
O1 0.15219 -1.29726 -1.31313  0.109
N2 0.68858 0.34508 0.19301  0.113
C3 1.81242 0.82610 -0.48099  -0.254
N3 2.48364 1.77052 0.02473  0.098
H1 -2.64084 -0.38137 -0.69926  -0.017
H2 -2.18899 0.75037 0.57546  -0.031
H3 -1.36817 -2.05854 0.38449  0.150
H4 -0.92029 -1.02152 1.58075  0.145
H5 0.40854 0.85518 1.02093  0.153
H6 2.00002 0.29287 -1.41469  0.133
H7 3.27308 2.00191 -0.57397  0.050

Properties
* net charge: 0
* Kohn-Sham gap: 7.67 eV

=====

DFT (ωB97M-V/def2-TZVPD) results for a single C3H7N3O molecule.

Last column: Löwdin charge in e.
Element x y z (Å)
N1 -1.96453 1.39119 -0.95423  0.145
C1 -1.41264 0.43565 -0.42404  -0.142
C2 -0.76454 -0.41238 0.32329  -0.292
O1 -1.32270 -1.50732 0.95880  0.033
C3 0.75130 -0.31400 0.49534  -0.438
N2 1.09501 0.98370 1.01923  0.054
N3 1.50427 -0.62625 -0.71424  0.043
H1 -2.12978 1.38028 -1.95819  0.064
H2 -2.28206 -1.42808 0.96081  0.105
H3 1.01814 -1.06752 1.24545  0.144
H4 0.82865 1.71523 0.36847  0.068
H5 2.09685 1.03633 1.16400  0.076
H6 1.24220 -0.00561 -1.47436  0.068
H7 1.33983 -1.58123 -1.01033  0.073

Properties
* net charge: 0
* Kohn-Sham gap: 8.72 eV
* SMILES: N=C=C(O)C(N)N

=====

DFT (ωB97M-V/def2-TZVPD) results for a single C3H7N3O molecule.

Last column: Löwdin charge in e.
Element x y z (Å)
C1 -2.05621 0.38250 -0.06531  -0.042
C2 -0.58937 0.17869 0.10065  -0.355
C3 0.15374 -1.02644 0.29960  -0.173
O1 -0.31956 -2.26467 -0.00502  0.032
N1 0.33258 1.11231 -0.08946  0.033
N2 1.38897 0.36286 -0.46193  -0.134
N3 2.55149 0.79365 0.14445  0.014
H1 -2.28603 1.44843 -0.01649  0.078
H2 -2.62239 -0.13341 0.71299  0.078
H3 -2.41296 0.02226 -1.03738  0.078
H4 0.80658 -1.09941 1.15984  0.128
H5 -0.67929 -2.27213 -0.90140  0.111
H6 2.42212 1.64483 0.68254  0.076
H7 3.31032 0.85051 -0.52308  0.075

Properties
* net charge: 0
* Kohn-Sham gap: 8.77 eV
* SMILES: CC(=C\O)/N=N/N

=====

DFT (ωB97M-V/def2-TZVPD) results for a single C3H7N3O molecule.

Last column: Löwdin charge in e.
Element x y z (Å)
H1 2.40508 3.37855 0.17067  0.037
N1 2.04051 2.59064 0.70068  0.074
 Do not have a common evolutionary origin
 Any body structure that is similar in function but different in structure
 Example: butterfly and bird wing
 Can’t be used to indicate evolutionary relationships, but they do provide evidence
of evolution
4. Vestigial Structure
 Any body structure that is reduced in function in a living organism but may have
been used in an ancestor
 Example: appendix, wisdom teeth, tail bone
5. Similarities in Embryology
 The early stages, or embryos, of many animals with backbones are very similar
 Similarities among vertebrate embryos suggest evolution from a common
 These common cells and tissues, growing in similar ways, produce homologous
Chapter 15: Darwin’s Theory of Evolution
15.1 The Puzzle of Life’s Diversity
 Evolution –
 Charles Darwin
 Considered to be the father of evolutionary theory
 Born
 Voyage of the H.M.S. Beagle
 1831 Darwin traveled on the Beagle
 A _____ year expedition to South America and South Pacific for mapping and
collecting specimens.
 His job was to collect, study and store biological specimens
 His observations in the _______________ _______________ were among his
[Next to the page, the page also holds data records]
<<<
# 1
The molecule C2H6N2O2 at a distorted geometry, computed with ωB97M-V with the def2-TZVPD basis set.

Calculated values
- Molecular weight: 90.08 g/mol
- HOMO: -9.70 eV
- Lowest unoccupied orbital energy: 0.0191 hartree
- Relative energy (zero: lowest compared OMol25 entry of this formula, charge and spin): 478.3 kJ/mol
- Largest force on an atom: 7.06 eV/Å
- Orbital gap: 10.2 eV

```
12
Properties=species:S:1:pos:R:3:forces:R:3
C 0.562 -0.949 0.439 -2.395 0.227 2.156
C -0.789 -0.160 0.101 -2.796 -3.046 -1.265
H 2.027 -0.276 -0.726 -2.349 -1.925 0.542
H 1.097 -0.399 1.121 0.744 1.480 2.279
H 0.496 -1.940 0.969 -1.079 0.686 -1.082
H -2.716 -0.448 -0.531 1.721 -0.249 0.578
H -1.110 1.496 -1.038 0.748 0.048 0.210
H 0.887 1.919 0.648 0.581 3.907 5.240
N -1.822 -0.923 -0.187 0.938 2.226 0.541
N -0.764 1.284 -0.094 3.331 -2.077 0.914
O 1.326 -1.028 -0.636 3.817 0.549 -4.121
O 0.805 1.425 -0.066 -3.260 -1.825 -5.992
```
Positions in Å, forces in eV/Å.

***

# 2
The molecule C2H6N2O2, computed with ωB97M-V with the def2-TZVPD basis set.

Calculated values
- Molecular weight: 90.08 g/mol
- HOMO: -6.82 eV
- Lowest unoccupied orbital energy: 0.0212 hartree
- Relative energy (zero: lowest compared OMol25 entry of this formula, charge and spin): 237.2 kJ/mol
- Largest force on an atom: 0.86 eV/Å
- Orbital gap: 7.4 eV

```
12
Properties=species:S:1:pos:R:3:forces:R:3
C -0.434 0.728 -0.144 0.360 0.581 0.082
C -0.306 -0.582 0.036 -0.014 -0.858 -0.025
N -1.409 -1.484 0.077 0.208 0.203 -0.204
N 1.190 1.404 -0.006 -0.404 -0.600 -0.070
O 0.949 -1.207 0.199 -0.175 0.103 -0.139
O -1.271 1.589 -0.318 -0.268 0.260 -0.123
H 0.745 -2.084 0.540 0.028 0.038 0.125
H 1.238 1.923 0.861 0.047 0.029 0.025
H -2.242 -1.001 0.392 0.037 -0.081 0.051
H -1.610 -1.882 -0.841 0.002 0.129 0.165
H 1.791 0.581 0.001 0.231 0.271 0.067
H 1.357 2.015 -0.798 -0.052 -0.075 0.045
```
Positions in Å, forces in eV/Å.

***

# 3
A cluster of 2 separate species, C2H6N2O2 in total at a distorted geometry, computed with ωB97M-V with the def2-TZVPD basis set.

Calculated values
- Molecular weight: 90.08 g/mol
- HOMO: -9.36 eV
- Lowest unoccupied orbital energy: 0.0349 hartree
- Relative energy (zero: lowest compared OMol25 entry of this formula, charge and spin): 214.0 kJ/mol
- Largest force on an atom: 6.09 eV/Å
- Orbital gap: 10.3 eV

```
12
Properties=species:S:1:pos:R:3:forces:R:3
N 0.193 0.040 -1.696 -2.516 -0.491 -0.410
C 1.487 0.036 -1.177 -2.552 -1.387 -5.350
N 1.621 0.376 -0.024 -0.580 1.203 3.726
H -0.069 0.160 -2.655 1.170 -0.194 -0.570
H -0.718 -0.174 -1.225 2.112 0.650 0.470
H 2.117 -0.349 -2.036 0.526 0.677 1.444
H 2.469 0.320 0.440 2.197 -0.284 0.477
H -0.268 0.754 1.167 -1.887 -1.629 -1.723
O -2.482 -1.256 1.895 -0.704 -1.065 -1.732
C -1.757 -0.336 1.783 1.807 2.615 3.047
O -1.037 0.182 0.739 0.394 0.294 2.257
H -1.556 0.246 2.788 0.034 -0.390 -1.636
```
Positions in Å, forces in eV/Å.

***

# 4
>>>
[The page goes on]
most important
 Compared the anatomy of many species of reptiles, insects, birds, plants
 Darwin’s observations
 He noticed organisms were unique yet similar to species seen in other parts of
the world
 Grasslands in some regions were similar to one another but were inhabited by
very different animals.
 The Galapagos Islands were close together but had very different ____________
 The shape of the giant tortoises ____________ and ________ ________can
identify which island a tortoise inhabited
 By the end of his trip he was convinced that _______________ occurs, that
species can and do change
 He knew that many species produce large numbers of offspring and since Earth
was not covered with many species he suspected that there must be a struggle
for existence among individuals
15.2 Ideas that Shaped Darwin’s Thinking
 Hutton
 Estimates earth to be _______________, not thousands of years old
 Lyell
 Processes occurring now have shaped Earth’s geological features over
__________ periods of time
 Lamarck
 Inheritance of Acquired Traits
 Also called
 Selective use or disuse of organs, organisms acquired or lost certain traits
during their lifetime
 Ex.
 Evaluating Lamarck’s Hypotheses
 Lamarck’s hypotheses of evolution are incorrect in several ways.
 However, he paved the way for the work of later biologists.
 Malthus
 If the human population continued to grow unchecked, sooner or later there would
be insufficient living space and food for everyone.
 This information was central to Darwin’s explanations of evolutionary change.
15.3 Darwin Presents his Case
 Publication of Origin of Species
 Darwin wrote all of his ideas down, but did not publish them.
 He struggled with his ideas because they went against scientific thought at the
 Wallace was a naturalist that had the same ideas as Darwin and was going to
publish them.
 This forced Darwin to publish his ideas
 On the Origin of Species publish in __________
 Inherited Variation and Artificial Selection
 One of Darwin’s most important ideas was that organisms of the same species
vary from one another
 Darwin thought that variation mattered
 Artificial Selection –
 Darwin wondered if nature selected particular traits
 The struggle for existence
 Individuals that are better suited to their environment survive and reproduce
most successfully.
 Natural Selection –
 Darwin also called this “____________ ____ _____ ____________”
 Evidence of Evolution
1. Fossil Record
 Darwin saw _____________ as a record of the history of life on Earth.
2. Homologous Body Structures
 Example:
3. Analogous Structure
 Any body structure that is similar in function but different in structure
 Example:
 Can’t be used to indicate evolutionary relationships, but they do provide evidence
of evolution
4. Vestigial Structure
 Example:
5. Similarities in Embryology
 Similarities among vertebrate embryos suggest evolution from a
______________ ________________
 These common cells and tissues, growing in similar ways, produce homologous